Page 71 of Pawns of Salistya

‘I’ve sedated her to relax the body and extracted the poison from her. Whatever you were fighting has something in its poison that nullifies magic. Your sister would’ve been in a lot of pain,’ she grimaced. ‘I trust you got out of the mess unscathed?’

I nodded in confirmation. ‘Did you manage to get avial of the poison?’

She nodded towards several vials lying on the sand. ‘I’ll get to testing it as soon as I can. Probably after a couple of hours of sleep.’ Lyzia shook her head sheepishly as she looked down at her nightgown.

I softened at her attire, realising she must’ve been in a deep sleep when she was rushed here. ‘Thank you for coming.’

She shrugged nonchalantly. ‘It’s what I’m here for, not to mention it’s my pleasure,’ she replied. ‘The creature must have bypassed the Isles otherwise Varqel and I would’ve dealt with it. It’s very strange it came to these shores,’ she said, her eyes watched for my reaction closely, assessing whether I had any information on it. I had plenty of theories as to why they are lured to Arlom. But I wasn’t about to share them.

‘Very strange, indeed.’ I kept my face blank, determined to keep my promise to Xylan.

Lyz tilted her head, a knowing look on her face, lips thinning as she deliberated on whether to push me. She chose against it, merely calling Rynelle over to escort her back to the Isles.

‘She should wake up in a few hours. There are no signs of poison still left in her body. Expect her to wake up a bit groggy and she’ll require observation over the next twenty-four hours. If there are any signs that she’s not recovering as she should, call for me. Otherwise, if everything goes well, I’ll see you soon?’ Lyzia asked as she grabbed Rynelle’s hand.

I nodded to Lyz, watching them teleport away, taking a moment. I wasn’t looking forward to what was coming.

I sighed as I stood up, turning to face the group. My eyes landed on Xylan’s. His illusionary pale pink eyes were back. I opened my mouth to thank him for his help but was cut off by Eliasson’s arms reaching out to grab onto my shoulders.

‘Are you hurt?’ he demanded, patting all over my body, looking for any injuries.

‘Um,’ I cleared my throat in confusion. I had expected him to be angry.

‘You don’t look hurt, but it’s hard to see in this light. Maybe we should get you a healer, have you checked over.’ His worried voice rose as he fussed over me.

‘I’m okay Eliasson. No injuries,’ I placated, placing my hands over his to stop his frantic movements.

‘Alright. Okay.’ A rush of breath left his mouth as he tried to collect himself. ‘In that case, I think you and I need to have a serious discussion.’ Anger replaced the concern that had been in his tone.

I winced and nodded in agreement as I stepped to the side to look at the others. ‘Mer, Mazyr, Amire, I trust you can assist in taking people back to their respective rooms?’

My Sol nodded in unison.

‘Please work out between yourselves rotating watches for Slaviya. Any signs of discomfort or something out of sorts, please report to me immediately,’ I directed.

‘I can look after her,’ Qynthia said out, stepping next to Slaviya’s sleeping form.

‘Are you sure?’ I asked sceptically, exchanging wary glances with Mer.

‘Yes, it’s fine. Our quarters are next to one another, it’ll be easy for me to move into hers for the night. I suspect your colleagues will require sleep after their efforts tonight.’ She smiled, and flashed them sympathetic looks.

‘As long as you’re okay with that,’ I shrugged, not having it in me to question let alone understand her motive behind taking care of Slaviya. ‘In that case, ensure everyone gets back to their quarters and you’re dismissed for the night. Good job, you did Fyriane proud.’ I nodded at them, letting my gratitude show on my face.

‘Always honoured to serve you, Queen,’ Amire replied.

‘Get some rest if you can, Val. This was a big one,’ Mer said gently, sympathy shining in her eyes.

I shot Mer a warning look, earning me a confused one in return. I sighed, dropping my barriers, hoping this would work.

Keep Fyrel distracted, please, I told her.

Mer’s eyes bulged. She quickly composed herself, giving me a look that said both ‘what the hell bitch, you’ve been holding out on me’ and ‘we’ll talk about this later’, and nodded.

I kissed my three middle fingers and placed them on my chest, bowing my head in gratitude to my Sol before whisking Eliasson and I back to our quarters.

Chapter 31

Records of crystals, as found in the file
-- begin --
[1]
For Ho6Zn3Tc, a cell relaxed with PBE gives the theoretical powder X-ray diffraction pattern in this record (Cu Kα X-rays).

Atomic structure:
Cell lengths 8.769, 5.106, 11.149 Å; angles 90.00, 109.13, 90.00 degrees
Sites, in units of the cell vectors:
Ho (0.024, 0.250, 0.407)
Ho (0.167, 0.750, 0.169)
Ho (0.265, 0.250, 0.002)
Ho (0.349, 0.750, 0.831)
Ho (0.377, 0.250, 0.344)
Ho (0.386, 0.250, 0.638)
Ho (0.614, 0.750, 0.362)
Ho (0.623, 0.750, 0.656)
Ho (0.651, 0.250, 0.169)
Ho (0.735, 0.750, 0.998)
Ho (0.833, 0.250, 0.831)
Ho (0.976, 0.750, 0.593)
Zn (0.018, 0.750, 0.870)
Zn (0.098, 0.250, 0.717)
Zn (0.269, 0.750, 0.468)
Zn (0.731, 0.250, 0.532)
Zn (0.902, 0.750, 0.283)
Zn (0.982, 0.250, 0.130)
Tc (0.460, 0.750, 0.102)
Tc (0.540, 0.250, 0.898)

The 6 most intense peaks (2θ = 10–90°), in order of rising 2θ:
2θ (°)	I/Imax
32.6	12
33.8	17
35.2	36
35.5	100
49.6	11
63.3	10

***

[2]
For HoZrTc, a cell relaxed with PBE gives the theoretical powder X-ray diffraction pattern in this record (Cu Kα X-rays).

Atomic structure:
Cell lengths 3.389, 3.389, 11.658 Å; angles 90.00, 90.00, 90.00 degrees
Sites, in units of the cell vectors:
Ho (0.000, 0.000, 0.000)
Ho (0.500, 0.500, 0.500)
Zr (0.000, 0.000, 0.274)
Zr (0.500, 0.500, 0.774)
Tc (0.000, 0.000, 0.655)
Tc (0.500, 0.500, 0.155)

The 6 most intense peaks (2θ = 10–90°), in order of rising 2θ:
2θ (°)	I/Imax
27.4	16
35.1	100
37.5	52
47.3	15
54.1	18
66.2	31

***

[3]
For Ho7Te3, a cell relaxed with PBE gives the theoretical powder X-ray diffraction pattern in this record (Cu Kα X-rays).

Atomic structure:
Cell lengths 9.721, 9.721, 7.125 Å; angles 90.00, 90.00, 120.00 degrees
Sites, in units of the cell vectors:
Ho (0.075, 0.537, 0.000)
Ho (0.122, 0.244, 0.283)
Ho (0.122, 0.878, 0.283)
Ho (0.244, 0.122, 0.783)
Ho (0.333, 0.667, 0.355)
Ho (0.463, 0.537, 0.000)
Ho (0.463, 0.925, 0.000)
Ho (0.537, 0.075, 0.500)
Ho (0.537, 0.463, 0.500)
Ho (0.667, 0.333, 0.855)
Ho (0.756, 0.878, 0.283)
Ho (0.878, 0.122, 0.783)
Ho (0.878, 0.756, 0.783)
Ho (0.925, 0.463, 0.500)
Te (0.202, 0.405, 0.670)
Te (0.202, 0.798, 0.670)
Te (0.405, 0.202, 0.170)
Te (0.595, 0.798, 0.670)
Te (0.798, 0.202, 0.170)
Te (0.798, 0.595, 0.170)

The 6 most intense peaks (2θ = 10–90°), in order of rising 2θ:
2θ (°)	I/Imax
27.2	34
30.8	100
32.9	65
34.3	85
37.0	28
61.9	30

***

[4]
For HoTe2, a cell relaxed with PBE gives the theoretical powder X-ray diffraction pattern in this record (Cu Kα X-rays).

Atomic structure:
Cell lengths 7.644, 8.138, 6.020 Å; angles 90.00, 90.00, 90.00 degrees
Sites, in units of the cell vectors:
Ho (0.246, 0.061, 0.250)
Ho (0.246, 0.439, 0.750)
Ho (0.754, 0.561, 0.250)
Ho (0.754, 0.939, 0.750)
Te (0.074, 0.750, 0.000)
Te (0.074, 0.750, 0.500)
Te (0.392, 0.094, 0.750)
Te (0.392, 0.406, 0.250)
Te (0.608, 0.594, 0.750)
Te (0.608, 0.906, 0.250)
Te (0.926, 0.250, 0.000)
Te (0.926, 0.250, 0.500)

The 6 most intense peaks (2θ = 10–90°), in order of rising 2θ:
2θ (°)	I/Imax
25.8	74
32.0	65
33.8	69
35.1	96
37.2	86
40.0	100

=====
-- stop --

Dropping down onto Eliasson’s bed, I let out a sigh in preparation for the onslaught of questions coming my way.